PhyKIT can be used for a multitude of different types of analyses. Documentation here provides a step-by-step outline for how to conduct different types of analyses.
1. Summarizing information content
PhyKIT implements numerous functions that can be used to examine the information content and help researchers summarize information content and identify potential biases in multiple sequence alignments and phylogenies.
Among other uses, one use of summarizing information content is to facilitate subsampling larger phylogenomic data matrices to further explore tree space during species-level tree inference or for divergence time estimation. (Salichos and Rokas 2013; Liu et al. 2017; Smith et al. 2018; Shen et al. 2018 & 2020; Steenwyk et al. 2019; Walker et al. 2019; Li et al. 2020)
The information content summarized in the remainder of this section are associated with strong phylogenetic signal (or robust and accurate tree inference). When subsampling genes, a researcher could take a fraction of the best scoring phylogenies to reinfer species-level relationships or divergence times (e.g., robustly supported phylogenies and genes that do not violate clock-like patterns of evolution).
For example, in Steenwyk et al. 2019, we subsampled the complete phylogenomic data matrix for 50% of genes that had the best score for various matrices. Using the subsampled matrices, we reinferred species trees and compared the topologies across all species-level phylogenies. Bipartitions that were not recovered in all analyses were considered unstable. The following figure depicts the general pipeline we used (note, some of the metrics have been modified following newer insights).

In this tutorial, we will use the following test multiple sequence alignment and phylogenetic tree, which came
from Steenwyk et al. 2019.
Download test data:
Multiple sequence alignment
Single-gene phylogeny
Alignment length
**What comes next are materials data, not part of the article:**
=====
[1]
Diffraction record for Na2Te4WO12. The PXRD pattern is calculated, not measured: it uses the PBE+U geometry in the Materials Project and Cu Kα, 1.54184 Å.
No peak broadening, texture or thermal motion is included.

Crystal structure
Cell: 17.541 5.880 11.466 Å, 90.00 104.88 90.00°
Space group C2/c (No. 15)
One atom of each set of equivalent atoms:
Na 0.212 0.228 0.266 [8 per cell]
Te 0.094 0.215 0.599 [8 per cell]
Te 0.157 0.329 0.936 [8 per cell]
W 0.000 0.340 0.250 [4 per cell]
O 0.012 0.381 0.636 [8 per cell]
O 0.024 0.143 0.142 [8 per cell]
O 0.111 0.394 0.338 [8 per cell]
O 0.159 0.152 0.755 [8 per cell]
O 0.163 0.483 0.590 [8 per cell]
O 0.241 0.074 0.071 [8 per cell]

Principal peaks in the range 10° ≤ 2θ ≤ 80°, in order of falling intensity:
(4 0 2), d 3.012, intensity 100
(1 1 -3), d 3.203, intensity 89
(3 1 -1), d 4.076, intensity 88
(3 1 5), d 1.810, intensity 33
(4 2 2), d 2.103, intensity 29
(3 1 -2), d 3.617, intensity 28
(2 2 1), d 2.642, intensity 25
(0 2 0), d 2.939, intensity 25
(2 0 0), d 8.476, intensity 24
(4 0 -4), d 2.652, intensity 22

[2]
Diffraction record for NaU4V3O20. The PXRD pattern is calculated, not measured: it uses the PBE+U geometry in the Materials Project and Cu Kα, 1.54184 Å.
No peak broadening, texture or thermal motion is included.

Crystal structure
Cell: 10.374 10.374 18.084 Å, 90.00 106.47 90.00°
Space group C2/c (No. 15)
One atom of each set of equivalent atoms:
Na 0.000 0.000 0.000 [4 per cell]
U 0.153 0.375 0.055 [8 per cell]
U 0.224 0.125 0.698 [8 per cell]
V 0.000 0.125 0.250 [4 per cell]
V 0.057 0.375 0.864 [8 per cell]
O 0.000 0.465 0.569 [8 per cell]
O 0.031 0.248 0.052 [8 per cell]
O 0.068 0.277 0.691 [8 per cell]
O 0.071 0.026 0.194 [8 per cell]
O 0.127 0.224 0.305 [8 per cell]
O 0.128 0.473 0.809 [8 per cell]
O 0.167 0.121 0.592 [8 per cell]
=====
Alignment length and the length of an alignment excluding sites with gaps is associated with robust and accurate tree inferences (Shen et al. 2016). Calculate alignment length with the following command:
phykit aln_len Steenwyk_etal_mBio_2019_EOG091N44MS.aln.fa
to exclude alignment gaps, use the following option
phykit aln_len_no_gaps Steenwyk_etal_mBio_2019_EOG091N44MS.aln.fa
321 624 51.4423
col1: number of sites without gaps
col2: total number of sites
col3: percentage of sites without gaps
Bipartition support statistics
High average bipartition in a phylogeny is associated with robust bipartition support (Salichos and Rokas 2013; Shen et al. 2016). Thus, genes with high bipartition support values have greater certainty among bipartitions. Calculate bipartition support summary statistics with the following command:
phykit bss Steenwyk_etal_mBio_2019_EOG091N44MS.tre
mean: 88.6437
median: 99
25th percentile: 83.0
75th percentile: 100.0
-- Crystal structures that have nothing to do with the piece --
Computed X-ray diffraction stick pattern
Compound: Cs3TeSe
Radiation: Cu Ka
Structure: DFT lattice parameters and positions (PBE)

Structure:
a = 9.819 Å, b = 9.819 Å, c = 5.929 Å
α = 90.00°, β = 90.00°, γ = 120.00°
Sites, in units of the cell vectors:
Cs  0.039  0.620  0.000
Cs  0.283  0.033  0.501
Cs  0.380  0.418  0.000
Cs  0.582  0.961  0.000
Cs  0.751  0.717  0.501
Cs  0.967  0.249  0.501
Te  0.000  0.000  0.001
Te  0.333  0.667  0.501
Se  0.667  0.333  0.295
Se  0.667  0.333  0.704

Principal peaks in the range 10 to 90 degrees two-theta, in order of rising 2θ:
23.53°, intensity 100, (2 -1 1)
25.78°, intensity 88, (0 2 1)
27.76°, intensity 48, (1 2 0)
30.15°, intensity 24, (0 0 2)
31.56°, intensity 46, (3 0 0)
31.67°, intensity 32, (2 1 1)
41.44°, intensity 28, (3 -2 2)
44.21°, intensity 14, (3 0 2)
49.15°, intensity 48, (5 -2 1)
49.38°, intensity 16, (4 -3 2)
50.95°, intensity 13, (2 0 3)
67.46°, intensity 15, (5 -2 3)

----------

Computed powder XRD pattern
Compound: In2Mo2O7
Radiation: Cu Kα X-rays
Structure: a PBE+U-relaxed structure
minimum: 28
maximum: 100
standard deviation: 18.5504
variance: 344.1157
Long branch score
Long branch scores (or LB scores) help determine taxa that may be contributing to long-branch problems (Struck 2014;). Similarly, the standard deviation of LB scores among taxa can be used as a measure of heterogeneity. To calculate summary statistics of LB scores for all taxa in a given phylogeny, use the following command:
phykit lb_score Steenwyk_etal_mBio_2019_EOG091N44MS.tre
mean: -1.1111
median: -14.4566
25th percentile: -17.8686
75th percentile: -3.4048
minimum: -23.7982
maximum: 211.1845
standard deviation: 39.1931
variance: 1536.0987
LB scores of individual taxa are also information to diagnose taxa driving long-branch problems. The lower the values, the less susceptible the taxon is to long-branch problems. To get the LB score of each taxa, use the verbose option:
phykit lb_score Steenwyk_etal_mBio_2019_EOG091N44MS.tre --verbose
Aspergillus_aculeatus -13.7403
Aspergillus_arachidicola -15.382
Aspergillus_parasiticus -15.2214
Aspergillus_sojae -15.2627
Aspergillus_flavus -14.7755
Aspergillus_oryzae -14.7755
Aspergillus_bombycis -11.1987
... ...
Parsimony informative sites
The number of parsimony informative sites in an alignment is associated with strong phylogenetic signal. (Shen et al. 2016; Steenwyk et al. 2020). Calculate the number of parsimony informative sites in an alignment with the following command:
phykit pis Steenwyk_etal_mBio_2019_EOG091N44MS.aln.fa
517 624 82.8526
col1: number of parsimony informative sites
col2: total number of sites
col3: percentage of parsimony informative sites
Saturation in a multiple sequence alignments is driven by sites with multiple substitutions and results in the alignment underestimating real genetic distances among taxa. Values of 1 have no saturation and values of 0 are completely saturated by multiple substitutions (Philippe et al. 2011). Estimate saturation with the following command:
phykit sat -a Steenwyk_etal_mBio_2019_EOG091N44MS.aln.fa -t Steenwyk_etal_mBio_2019_EOG091N44MS.tre
Treeness divided by relative composition variability
Treeness divided by relative composition variability (treeness/RCV) is associated with strong phylogenetic signal. Higher treeness and lower RCV values are indicative of a lower potential for bias (composition-based or otherwise) and a lower degree of composition bias. Thus, higher treeness/RCV values are indicative of genes less susceptible to composition and other biases. (Lanyon 1988; Phillips and Penny 2003; Shen et al. 2016). Calculate treeness/RCV using the following command:
phykit toverr -a Steenwyk_etal_mBio_2019_EOG091N44MS.aln.fa -t Steenwyk_etal_mBio_2019_EOG091N44MS.tre
3.9773 0.5136 0.1291
col1: treeness/RCV
col2: treeness
col3: RCV
To individually calculate treeness, a measure of signal-to-noise among branch lengths (Lanyon 1988; Phillips and Penny 2003), and RCV, a measure of composition bias (Phillips and Penny 2003), use the following commands:
# calculate treeness
phykit tness Steenwyk_etal_mBio_2019_EOG091N44MS.tre
# calculate RCV
phykit rcv Steenwyk_etal_mBio_2019_EOG091N44MS.aln.fa
Variable sites
The number of variable sites in an alignment is associated with strong phylogenetic signal. (Shen et al. 2016). Calculate the number of variable sites with the following command:
phykit vs Steenwyk_etal_mBio_2019_EOG091N44MS.aln.fa
555 624 88.9423
col1: number of variable sites
col2: total number of sites
col3: percentage of variable sites
2. Evaluating gene-gene covariation
Identifying genes that significantly covary (or coevolve) with one another is known to accurately and sensitively identify genes with shared functions, are coexpressed, and/or are part of the same multimeric complexes (Sato et al. 2005; Clark et al. 2012). Furthermore, gene-gene covariation serves as a powerful evolution-based genetic screen for predicting gene function (Brunette et al. 2019).
PhyKIT implements a mirror-tree-based method to identify genes that covary with one another. In principle, PhyKIT determines if two trees have similar branch length properties throughout the phylogeny. Thus, each input phylogeny must have the same topology. However, there are other steps that must be done prior to evaluating covariation between two genes.
To provide a comprehensive tutorial, we will start with the sequence alignments for three genes and their constrained tree topologies that match the putative species tree from Shen et al. 2020.
Download test data:
Step 0: Prepare data
The mirror tree method for determining significant gene-gene covariation requires that both input phylogenies have the same topology. As a result, gene trees must be constrained to the species tree, which is typically inferred from whole genome or proteome data. In the present tutorial, the species tree has already been inferred. Additionally, the guide trees used to constrain the gene trees have been generated. These trees were generated by pruning the species tree to match the taxon representation of the sequences in the multiple sequence alignment.
Step 1: Estimate gene tree branch lengths
To infer the constrained tree, we will use IQ-TREE2. The species tree (or guide tree) is specified with the -g argument. Lastly, the best-fitting substitution model was specified according to what was reported in Shen et al. 2020 supplementary data; however, if the best-fitting model is unknown, this will have to be determined prior to estimating gene tree branch lengths.
Estimate the gene tree branch lengths using the following commands:
# infer constrain trees
iqtree2 -s Shen_etal_SciAdv_2020_NDC80.fa -te Shen_etal_SciAdv_2020_NDC80.constrained.tre -pre Shen_etal_SciAdv_2020_NDC80 -m JTT+G4+F -keep-ident
iqtree2 -s Shen_etal_SciAdv_2020_NUF2.fa -te Shen_etal_SciAdv_2020_NUF2.constrained.tre -pre Shen_etal_SciAdv_2020_NUF2 -m LG+G4 -keep-ident
iqtree2 -s Shen_etal_SciAdv_2020_SEC7.fa -te Shen_etal_SciAdv_2020_SEC7.constrained.tre -pre Shen_etal_SciAdv_2020_SEC7 -m LG+G4 -keep-ident
Step 2: Root constrain trees
To ensure PhyKIT traverses each tree the same, root each tree using the outgroup taxa. PhyKIT has a function for rooting and takes as input a single column file with the names of the outgroup taxa. For sake of simplicity, I have provided the necessary input files.
Root the trees with the inferred branch lengths using the following commands:
# root trees
pk_root Shen_etal_SciAdv_2020_NUF2.treefile -r Shen_etal_SciAdv_2020_NUF2_taxa_for_rooting.txt -o Shen_etal_SciAdv_2020_NUF2.treefile.rooted
pk_root Shen_etal_SciAdv_2020_SEC7.treefile -r Shen_etal_SciAdv_2020_SEC7_taxa_for_rooting.txt -o Shen_etal_SciAdv_2020_SEC7.treefile.rooted
pk_root Shen_etal_SciAdv_2020_NDC80.treefile -r Shen_etal_SciAdv_2020_NDC80_taxa_for_rooting.txt -o Shen_etal_SciAdv_2020_NDC80.treefile.rooted
Step 3: Evaluate gene-gene covariation
When determining gene-gene covariation, it is best to use a high significance threshold for coevolutionary coefficients. Here, we will use a threshold of 0.5; however, I recommend users explore their own data and distribution of coevolutionary coefficients.
To evaluate gene-gene covariation, execute the following commands:
# Evaluate gene-gene covariation between NUF2 and SEC7
phykit cover Shen_etal_SciAdv_2020_NUF2.treefile.rooted Shen_etal_SciAdv_2020_SEC7.treefile.rooted -r Shen_etal_SciAdv_2020_species_tree.tre
0.1885 0.0
# Evaluate gene-gene covariation between NDC80 and SEC7
phykit cover Shen_etal_SciAdv_2020_NDC80.treefile.rooted Shen_etal_SciAdv_2020_SEC7.treefile.rooted -r Shen_etal_SciAdv_2020_species_tree.tre
0.2105 0.0
Given our thresholds, neither NUF2 nor NDC80 significantly covary with SEC7. Next, evaluate gene-gene covariation between NUF2 and NDC80.
# Evaluate gene-gene covariation between NUF2 and NDC80
phykit cover Shen_etal_SciAdv_2020_NUF2.treefile.rooted Shen_etal_SciAdv_2020_NDC80.treefile.rooted -r Shen_etal_SciAdv_2020_species_tree.tre
0.6693 0.0
These two genes significantly covary with one another. This raises the hypothesis that these two genes have shared function. A literature- based examination of these genes reveals the encoded proteins are part of the same kinetochore-associated complex termed the NDC80 complex. Thus, PhyKIT is useful for determining gene-gene covariation, which can be driven by shared function, coexpression, and/or are part of the same multimeric complexes.
**Attached: materials data:**
........
Entry 1:
Simulated powder diffraction line list of LiMn2P2O8 for Cu Kα (λ = 1.5418 Å), from DFT lattice parameters and positions (GGA+U).
Kinematic intensities with the Lorentz-polarization factor, no thermal factor.

Structure:
Cell lengths 8.669, 8.669, 6.720 Å; angles 108.56, 108.56, 90.87 degrees
Fractional coordinates of all 39 atoms:
Li 0.000 0.000 0.000
Li 0.475 0.443 0.248
Li 0.557 0.525 0.752
Mn 0.088 0.353 0.884
Mn 0.284 0.716 0.500
Mn 0.407 0.040 0.396
Mn 0.647 0.912 0.116
Mn 0.744 0.256 0.000
Mn 0.960 0.593 0.604
P 0.151 0.318 0.368
P 0.317 0.683 0.000
P 0.367 0.102 0.889
P 0.682 0.849 0.632
P 0.732 0.268 0.500
P 0.898 0.633 0.111
O 0.012 0.290 0.140
O 0.020 0.644 0.342
O 0.073 0.381 0.556
O 0.195 0.148 0.888
O 0.199 0.708 0.786
O 0.202 0.145 0.354
O 0.292 0.801 0.214
O 0.296 0.445 0.412
O 0.297 0.507 0.009
O 0.356 0.980 0.658
O 0.429 0.012 0.065
O 0.490 0.257 0.962
O 0.493 0.703 0.991
O 0.555 0.704 0.588
O 0.556 0.252 0.512
O 0.619 0.927 0.444
O 0.710 0.988 0.860
O 0.743 0.510 0.038
O 0.748 0.444 0.488
O 0.755 0.150 0.287
O 0.850 0.245 0.713
O 0.852 0.805 0.112
O 0.855 0.798 0.646
O 0.988 0.571 0.935

Most intense lines, 10° ≤ 2θ ≤ 90°, by angle:
2θ/deg  d (Å)  I/Imax
14.3  6.176  100
16.4  5.421  44
21.8  4.074  19
25.7  3.469  22
28.0  3.184  64
29.8  2.998  36
33.0  2.713  56
33.4  2.683  61
34.9  2.573  24
36.2  2.482  29
41.2  2.191  27
54.7  1.678  20

---

Entry 2:
Simulated powder diffraction line list of LiMnPO4 for Cu Kα (λ = 1.5418 Å), from DFT lattice parameters and positions (GGA+U).
Kinematic intensities with the Lorentz-polarization factor, no thermal factor.

Structure:
Cell lengths 11.449, 6.206, 5.159 Å; angles 90.00, 90.00, 90.00 degrees
Fractional coordinates of all 28 atoms:
Li 0.174 0.046 0.000
Li 0.326 0.546 0.500
Li 0.674 0.454 0.000
Li 0.826 0.954 0.500
Mn 0.081 0.302 0.494
Mn 0.419 0.802 0.994
Mn 0.581 0.198 0.494
Mn 0.919 0.698 0.994
P 0.172 0.551 0.003
P 0.328 0.051 0.503
P 0.672 0.949 0.003
P 0.828 0.449 0.503
O 0.095 0.753 0.937
O 0.110 0.345 0.893
O 0.181 0.530 0.302
O 0.205 0.072 0.381
O 0.295 0.572 0.881
O 0.319 0.030 0.802
O 0.390 0.845 0.393
O 0.405 0.253 0.437
O 0.595 0.747 0.937
O 0.610 0.155 0.893
O 0.681 0.970 0.302
O 0.705 0.428 0.381
O 0.795 0.928 0.881
O 0.819 0.470 0.802
O 0.890 0.655 0.393
O 0.905 0.247 0.437

Most intense lines, 10° ≤ 2θ ≤ 90°, by angle:
2θ/deg  d (Å)  I/Imax
16.2  5.456  63
21.1  4.208  32
22.4  3.967  100
23.7  3.749  20
27.4  3.256  25
31.2  2.862  16
32.8  2.728  31
34.5  2.599  13
34.8  2.580  38
35.9  2.503  21
37.3  2.410  36
56.6  1.625  14

---

Entry 3:
Simulated powder diffraction line list of LiMnPO4 for Cu Kα (λ = 1.5418 Å), from DFT lattice parameters and positions (GGA+U).
Kinematic intensities with the Lorentz-polarization factor, no thermal factor.

Structure:
Cell lengths 10.592, 6.171, 4.795 Å; angles 90.00, 90.00, 90.00 degrees
Fractional coordinates of all 28 atoms:
Li 0.000 0.000 0.000
Li 0.000 0.500 0.000
Li 0.500 0.000 0.500
Li 0.500 0.500 0.500
........
3. Identifying signatures of rapid radiations
Signatures of rapid radiations or diversification events can be identified by pinpointing polytomies in a putative species tree (Sayyari and Mirarab 2018; One Thousand Plant Transcriptomes Initiative 2019; Li et al. 2020).
PhyKIT uses a gene-based approach to evaluate polytomies. In other words, PhyKIT will determine what topology each gene supports. Thereafter, PhyKIT will conduct a chi-squared test to determine if there is equal support among gene trees for the various topologies. In the chi-squared test, the null hypothesis is that there is equal support among gene trees for the various topologies and the alternative hypothesis is that there is unequal support for the various topologies. Thus, failing to reject the null hypothesis would indicate that there is a polytomy where as rejecting the null hypothesis would indicate there is no polytomy. The various topologies examined by PhyKIT are determined by the groups file. Formatting this file will be explained later.
To demonstrate how to identify polytomies, we will use a subset of 250 gene phylogenies from Steenwyk et al. 2019.
Download test data:
Step 0: Prepare data
For this tutorial, the data has already been formatted for the user. There are two input files for the polytomy testing function:
a file that specifies the location of gene trees
a file that specifies the groups to test
Thus, this tutorial assumes that gene phylogenies have already been inferred and the area of the phylogeny that the user wishes to test for a polytomy has already been identified.
Examination of the first file reveals that that it is a single column file that specifies the pathing of gene phylogenies to use during polytomy testing. Examination of the second file reveals that groups are specified using a tab-separated five column file.
column 1: an identifier for the test, which is not used by PhyKIT. Instead, this column is intended to be for the user to write any keywords or notes that can help remind them of what they were testing.
column 2-4: the tip names in the groups. Each column represents a single group to conduct polytomy testing for. If a group has multiple taxa, separate each tip name using a semi-colon ‘;’. For example, in groups_file0.txt there is one group with Aspergillus_persii;Aspergillus_sclerotiorum wherein this group has two taxa, Aspergillus_persii and Aspergillus_sclerotiorum.
column 5: the outgroup taxa. This column specifies the name of outgroup taxa, which are used to root the gene trees prior to determining what topology they support.
Step 1: Conduct polytomy test
Among the groups that have already been predetermined for the user, we will first conduct a polytomy test for groups_file0.txt. To execute the polytomy test, use the following command:
phykit ptt -t filamentous_fungi_250_trees.txt -g groups_file0.txt
Gene Support Frequency Results
chi-squared: 19.425
p-value: 6.1e-05
total genes: 240
0-1: 103
0-2: 49
1-2: 88
Note, if you are getting an error, it may be due to improper pathing in filamentous_fungi_250_trees.txt. Please check this file and modify it accordingly.
We will now go over the output of PhyKIT. PhyKIT will report the chi-squared value, the p value, the total number of genes used, followed by the support of sister relationships examined. Here, the chi-squared value is very high and the p value is very low indicating that the null hypothesis was rejected and that there is no evidence of a polytomy. The total number of genes used during the polytomy test was 240. However, you may have noticed that there were 250 genes used as input. This discrepancy is not an error but may be caused by two different reasons. (1) 10 genes were unable to be used due to incomplete taxon representation in the groups and (2) PhyKIT can account for gene phylogenies uncertainty (i.e., gene phylogenies with collapsed bipartitions), which may render the support of a given gene tree to be uncertain and therefore not be used during polytomy testing.
Next, the section 0-1, 0-2, and 1-2 refers to the sister relationships between the groups. Group 0 is specified in column 2 of the groups file while group 1 and group 2 are specified in columns 3 and 4, respectively. Thus, 0-1 refers to the following topology (((0,1),2),outgroup); whereas 0-2 and 1-2 refers to the following topologies (((0,2),1),outgroup); and (((1,2),0),outgroup);, respectively. PhyKIT identified that 103 gene phylogenies support (((0,1),2),outgroup); whereas 49 and 88 gene phylogenies support the topologies (((0,2),1),outgroup); and (((1,2),0),outgroup);, respectively.
Next, conduct a polytomy test using the other group file using the following command:
phykit ptt -t filamentous_fungi_250_trees.txt -g groups_file1.txt
Gene Support Frequency Results
chi-squared: 0.129
p-value: 0.937521
total genes: 248
0-1: 84
0-2: 84
1-2: 80
In contrast to the previous test, the chi-squared value is very low and the p value is very high indicating a failure to reject the null hypothesis. Thus, there is a signature of rapid radiation or diversification event for these groups. Additional details provided by PhyKIT reveal 248 genes were used during the polytomy test and that there is nearly equal support for the various topologies.
Taken together, this tutorial reveals how to identify signatures of rapid radiation or diversification events in phylogenomic data.
4. Evaluating the accuracy of a multiple sequence alignment
Evaluating the accuracy of multiple sequence alignments is an appropriate way to benchmark multiple sequence alignment strategies. Two popular methods to assess multiple sequence alignment accuracy are sum-of-pairs score and column score, which were introduced by Thompson et al., Nucleic Acids Research (1999), doi: 10.1093/nar/27.13.2682. Sum-of-pairs is calculated by summing the correctly aligned residue pairs over all pairs of sequences. Column score is calculated by summing the correctly aligned columns over all columns in an alignment. Both metrics range from 0 to 1 and higher values indicate more accurate alignments. Correctly aligned pairs or columns require knowing some ground truth of what the correct alignment is. Thus, a reference alignment that is perfectly (or near-perfectly) aligned is required. A reference alignment can be generated using simulations or be obtained from publicly available databases such as BAliBASE 4 (http://www.lbgi.fr/balibase/). For this tutorial we will use a reference alignment from BAliBASE.
Download test data:
Step 0: Generate query alignments
In the msa_accuracy directory, there are two fasta files: BBA0001_query.faa, an unaligned set of sequences and BBA0001_reference.faa, the reference alignment. We will align BBA0001_query.faa using three different strategies implemented in Mafft, v.7.475 (https://mafft.cbrc.jp/alignment/software/), and evaluate the accuracy of each strategy.
To do so, please ensure Mafft is installed and then execute the following commands:
# first alignment
mafft --localpair BBA0001_query.faa > BBA0001_query.localpair.faa
# second alignment
mafft --genafpair BBA0001_query.faa > BBA0001_query.genafpair.faa
# third alignment
mafft --globalpair BBA0001_query.faa > BBA0001_query.globalpair.faa
To gain some initial insight as to whether the alignments differ, we can look at the length of each alignment using the aln_len function
for i in $(ls *pair.faa) ; do phykit aln_len $i ; done
However, alignment length is not a measurement of accuracy. Thus, we will score each alignment using the sum_of_pairs_score and column_score functions.
Step 1: Score each alignment
For both functions, the first argument is the query alignment and the -r/\-\-reference argument specifies the reference alignment. We will programmatically score each alignment using the same for loop that was used to calculate alignment length.
echo -e "BAliBASE_id_and_aln_strategy\tsop\tcs"
for i in $(ls *pair.faa)
sop=$(phykit sum_of_pairs_score $i -r BBA0001_reference.faa)
cs=$(phykit column_score $i -r BBA0001_reference.faa)
echo -e "$i\t$sop\t$cs"
BAliBASE_id_and_aln_strategy sop cs
BBA0001_query.genafpair.faa 0.8964 0.2943
BBA0001_query.globalpair.faa 0.9025 0.292
BBA0001_query.localpair.faa 0.8992 0.2959
Examination of the output reveals that the globalpair strategy has more correctly aligned pairs because it has a higher sum-of-pairs score whereas the localpair strategy has more correctly aligned columns. Of note, the column scores are generally low, which reflects a potential limitation of column score wherein column score is sensitive to alignment errors.
In summary, calculating sum-of-pairs score and column score can help assess the accuracy of multiple sequence alignment strategies.